Job:
What is needed: set down everything further below without additions.

Given:
Density functional theory data (wB97M-V/def2-TZVPD) for a 2-piece molecular cluster, C5H8O overall.

The geometry in XYZ format:
```
14
Properties=species:S:1:pos:R:3:forces:R:3
C 0.403106 1.086602 -0.579292 -0.1107 0.0164 -0.0001
C -0.886186 0.962590 -0.266737 0.1217 0.1303 0.0111
C -1.066372 -0.123307 0.746084 -0.1499 -0.0957 -0.2700
O -0.414611 0.190215 1.974755 0.1242 0.1061 0.3291
C 0.279855 -0.635415 1.047882 0.1263 -0.1692 -0.0535
C 1.266907 0.066489 0.129427 -0.0369 0.0076 0.0764
H 0.815464 1.816774 -1.269037 -0.0698 -0.0194 0.1609
H -1.697759 1.574030 -0.645079 0.1068 -0.0991 0.0003
H -1.964130 -0.739088 0.804253 0.1383 0.2479 0.0957
H 0.476621 -1.643186 1.410903 -0.0778 0.1522 -0.1713
H 2.100563 0.536745 0.662434 -0.1004 -0.0983 0.0084
H 1.691479 -0.673893 -0.565172 -0.0481 0.2157 0.0569
H -0.712448 -1.359222 -1.494829 0.0449 -0.2045 -0.1832
H -0.318598 -1.081889 -2.058086 -0.0686 -0.1901 -0.0606
```
Forces are in eV/Å.

Results
* LUMO level: 1.21 eV
* E: -7359.3855 eV
* F_max: 0.37 eV/Å
* spin multiplicity: 1
* HOMO energy: -0.3479 hartree

----------

Record 1

Completed:
Density functional theory data (wB97M-V/def2-TZVPD) for a 2-piece molecular cluster, C5H8O overall.

The geometry in XYZ format:
```
14
Properties=species:S:1:pos:R:3:forces:R:3
C 0.403106 1.086602 -0.579292 -0.1107 0.0164 -0.0001
C -0.886186 0.962590 -0.266737 0.1217 0.1303 0.0111
C -1.066372 -0.123307 0.746084 -0.1499 -0.0957 -0.2700
O -0.414611 0.190215 1.974755 0.1242 0.1061 0.3291
C 0.279855 -0.635415 1.047882 0.1263 -0.1692 -0.0535
C 1.266907 0.066489 0.129427 -0.0369 0.0076 0.0764
H 0.815464 1.816774 -1.269037 -0.0698 -0.0194 0.1609
H -1.697759 1.574030 -0.645079 0.1068 -0.0991 0.0003
H -1.964130 -0.739088 0.804253 0.1383 0.2479 0.0957
H 0.476621 -1.643186 1.410903 -0.0778 0.1522 -0.1713
H 2.100563 0.536745 0.662434 -0.1004 -0.0983 0.0084
H 1.691479 -0.673893 -0.565172 -0.0481 0.2157 0.0569
H -0.712448 -1.359222 -1.494829 0.0449 -0.2045 -0.1832
H -0.318598 -1.081889 -2.058086 -0.0686 -0.1901 -0.0606
```
Forces are in eV/Å.

Results
* LUMO level: 1.21 eV
* E: -7359.3855 eV
* F_max: 0.37 eV/Å
* spin multiplicity: 1
* HOMO energy: -0.3479 hartree

----------

Record 1